Wading in the Water

There were times as a child I remember having no inhibitions or even too much fear because, I guess until I got really hurt for the first time, I didn’t know what physical pain or emotional pain felt like, so I just dove into what I was doing.

Of course, as I got older, that definitely changed, and I started limiting myself to safer choices to some extent. This also influenced how I lived my life and the people I chose to hang around with, the things I experienced. Now don’t get me wrong; wise, moral, and safe choices are good, very good, but on some things how do we know that it wouldn’t be a wonderful experience if we just dove in?!

Yes, common sense is to be used, sometimes research is wise and knowing the situation & people we are about to do these things with, which also comes into play. What about those things we know won’t hurt ourselves or anybody else and it takes giving ourselves freedom to do these things.

Have you figured out yet some of these things I might be talking about? Some might take a little effort, a little time and sometimes a little planning - yes, away from what you feel is important!!

Smile at a stranger, have a chat in the grocery line, remember a loved one with a call or a text or WOW, even a visit. These things might not make your day, but it will feel good when you make somebody else’s.

NOW, here is the part where it might take a little more effort and convincing - TIME FOR YOURSELF. Even if it is just 15 to 30 minutes a week - I promise it will make your soul sing. That thing that always made you stop, smile, sing, dance and let loose.

Sometimes I roll down my window (even in 50-to-60-degree weather, turn on my heater) in the car and turn up my music loud and sing at the top of my lungs.

“Letting go” for ourselves seems to have gotten so hard when we are workaholics or feel guilty that we are not doing something productive. Believe me, this is productive. This keeps you from snarling at your co-workers or significant other, or even feeling even like you have accomplished nothing while still working all day. This is feeding your heart & soul, which in turn you use to feed others.

## Inserted here: crystal structures
1.
The following is a computed X-ray powder pattern of La10Er9S27. It was derived from the PBE geometry in OQMD, using CuKα.
Peak positions follow from Bragg's law for the DFT cell and can differ from measured ones.

Structure:
abc: 15.024 15.024 21.829
angles: 121.78 121.78 15.07
Element x y z (fractional)
La: 0.043 0.043 0.192
La: 0.116 0.116 0.892
La: 0.128 0.128 0.709
La: 0.181 0.181 0.397
La: 0.199 0.199 0.220
La: 0.801 0.801 0.780
La: 0.819 0.819 0.603
La: 0.872 0.872 0.291
La: 0.884 0.884 0.108
La: 0.957 0.957 0.808
Er: 0.000 0.000 0.500
Er: 0.180 0.180 0.576
Er: 0.248 0.248 0.087
Er: 0.427 0.427 0.972
Er: 0.474 0.474 0.640
Er: 0.526 0.526 0.360
Er: 0.573 0.573 0.028
Er: 0.752 0.752 0.913
Er: 0.820 0.820 0.424
S: 0.000 0.000 0.000
S: 0.026 0.026 0.735
S: 0.076 0.076 0.464
S: 0.141 0.141 0.053
S: 0.246 0.246 0.820
S: 0.285 0.285 0.669
S: 0.299 0.299 0.493
S: 0.301 0.301 0.015
S: 0.323 0.323 0.341
S: 0.356 0.356 0.185
S: 0.393 0.393 0.832
S: 0.406 0.406 0.686
S: 0.452 0.452 0.399
S: 0.459 0.459 0.115
S: 0.541 0.541 0.885
S: 0.548 0.548 0.601
S: 0.594 0.594 0.314
S: 0.607 0.607 0.168
S: 0.644 0.644 0.815
S: 0.677 0.677 0.659
S: 0.699 0.699 0.985
S: 0.701 0.701 0.507
S: 0.715 0.715 0.331
S: 0.754 0.754 0.180
S: 0.859 0.859 0.947
S: 0.924 0.924 0.536
S: 0.974 0.974 0.265

The 8 most intense peaks (2θ from 10° to 90°), low angle first:
d = 3.699 Å, rel. 95; d = 3.482 Å, rel. 93; d = 3.445 Å, rel. 100; d = 2.889 Å, rel. 37; d = 2.560 Å, rel. 47; d = 2.075 Å, rel. 36; d = 1.970 Å, rel. 47; d = 1.740 Å, rel. 37

2.
The following is a computed X-ray powder pattern of Sr2H6PdAu. It was derived from the PBE geometry in OQMD, using CuKα.
Peak positions follow from Bragg's law for the DFT cell and can differ from measured ones.

Structure:
abc: 5.490 5.490 5.490
angles: 60.00 60.00 60.00
Element x y z (fractional)
Sr: 0.250 0.250 0.250
Sr: 0.750 0.750 0.750
H: 0.237 0.237 0.763
H: 0.237 0.763 0.237
H: 0.237 0.763 0.763
H: 0.763 0.237 0.237
H: 0.763 0.237 0.763
H: 0.763 0.763 0.237
Pd: 0.000 0.000 0.000
Au: 0.500 0.500 0.500

The 8 most intense peaks (2θ from 10° to 90°), low angle first:
d = 4.482 Å, rel. 7; d = 3.882 Å, rel. 9; d = 2.745 Å, rel. 100; d = 2.341 Å, rel. 5; d = 1.941 Å, rel. 19; d = 1.585 Å, rel. 38; d = 1.372 Å, rel. 12; d = 1.228 Å, rel. 17

3.
The following is a computed X-ray powder pattern of Tb2GdCd3Ag3. It was derived from the PBE geometry in OQMD, using CuKα.
Peak positions follow from Bragg's law for the DFT cell and can differ from measured ones.

Structure:
abc: 3.921 7.880 7.880
angles: 120.03 90.00 90.00
Element x y z (fractional)
Tb: 0.000 0.202 0.798
Tb: 0.000 0.798 0.202
Gd: 0.000 0.607 0.607
Cd: 0.500 0.202 0.465
Cd: 0.500 0.465 0.202
Cd: 0.500 0.940 0.940
Ag: 0.000 0.202 0.202
Ag: 0.500 0.535 0.870
Ag: 0.500 0.870 0.535

The 8 most intense peaks (2θ from 10° to 90°), low angle first:

I used to love finding water (pond, lake or even just a big puddle) and taking off my shoes, rolling up my pants leg and wading through the water. Guess what I am going to do after writing this blog….yep.

Take time for yourself in letting go - not being pampered by others, but pampering yourself by getting back to those things you loved doing as a child when you had no fear!!

Wade in the water and refresh your soul.

Email me your thoughts & stories or just leave me a comment on this one. Would love to hear from you:

'''
# Er2MgTl2W4O16
Calculated powder diffractogram, Cu Ka. Input: a cell relaxed with GGA+U.
No peak broadening, texture or thermal motion is included.

Peak list (6 most intense, 15° ≤ 2θ ≤ 90°, in order of rising 2θ)
hkl 2 2 0, d 3.335, I = 100; hkl 2 2 -2, d 3.074, I = 86; hkl 0 0 2, d 2.905, I = 53; hkl 3 1 0, d 2.739, I = 36; hkl 4 0 -2, d 2.723, I = 37; hkl 4 0 -4, d 1.872, I = 41

Lattice parameters (Å, degrees): 10.978 10.756 7.507 90.00 129.29 90.00
Space group C2 (No. 5)
Inequivalent atoms, fractional coordinates:
1 Er 0.000 0.000 0.000 (multiplicity 2)
2 Er 0.000 0.453 0.500 (multiplicity 2)
3 Mg 0.000 0.563 0.000 (multiplicity 2)
4 Tl 0.000 0.022 0.500 (multiplicity 2)
5 Tl 0.000 0.314 0.000 (multiplicity 2)
6 W 0.196 0.719 0.453 (multiplicity 4)
7 W 0.196 0.742 0.954 (multiplicity 4)
8 O 0.018 0.607 0.737 (multiplicity 4)
9 O 0.025 0.835 0.215 (multiplicity 4)
10 O 0.124 0.141 0.949 (multiplicity 4)
11 O 0.134 0.317 0.450 (multiplicity 4)
12 O 0.178 0.787 0.672 (multiplicity 4)
13 O 0.198 0.654 0.199 (multiplicity 4)
14 O 0.214 0.074 0.377 (multiplicity 4)
15 O 0.217 0.385 0.871 (multiplicity 4)

~~~~~

Starting from DFT lattice parameters and positions (PBE), the powder diffractogram of SrAu2F12 was calculated for Cu Kα (weighted mean of Kα1 and Kα2).
Neutral-atom scattering factors, no anomalous dispersion.

Crystal structure
Lattice parameters (Å, degrees): 10.377 10.377 10.377 90.00 90.00 90.00
Space group Pm-3m (No. 221)
Unique sites:
Sr1 0.000 0.000 0.000 (multiplicity 1)
Sr2 0.000 0.000 0.500 (multiplicity 3)
Au1 0.251 0.251 0.251 (multiplicity 8)
F1 0.123 0.123 0.313 (multiplicity 24)
F2 0.184 0.372 0.372 (multiplicity 24)

Principal peaks in the range 2θ = 5–70°, sorted by position:
| hkl | 2θ/deg | I/Imax |
| --- | --- | --- |
| 2 0 0 | 17.1 | 63.3 |
| 2 2 0 | 24.3 | 100.0 |
| 2 2 2 | 29.8 | 16.0 |
| 4 0 0 | 34.6 | 9.0 |
| 4 2 0 | 38.8 | 16.7 |
| 4 2 2 | 42.7 | 45.8 |
| 4 4 0 | 49.7 | 20.0 |
| 4 4 2 | 52.9 | 15.1 |
| 6 2 0 | 56.1 | 20.6 |
| 6 4 2 | 67.6 | 23.9 |

***

Starting from DFT lattice parameters and positions (PBE), the powder diffractogram of La6Co13Sn was calculated for Cu Kα (weighted mean of Kα1 and Kα2).
Neutral-atom scattering factors, no anomalous dispersion.

Crystal structure
Lattice parameters (Å, degrees): 8.071 8.071 23.291 90.00 90.00 90.00
Space group I4/mcm (No. 140)
Unique sites:
La1 0.000 0.000 0.100 (multiplicity 8)
La2 0.163 0.337 0.179 (multiplicity 16)
Co1 0.000 0.500 0.000 (multiplicity 4)
Co2 0.065 0.214 0.500 (multiplicity 16)
Co3 0.114 0.386 0.413 (multiplicity 16)
Co4 0.177 0.323 0.055 (multiplicity 16)
Sn1 0.000 0.000 0.250 (multiplicity 4)

Principal peaks in the range 2θ = 5–70°, sorted by position:
| hkl | 2θ/deg | I/Imax |
| --- | --- | --- |
| 0 0 2 | 7.6 | 99.9 |
| 2 1 3 | 27.2 | 91.1 |
| 1 1 6 | 27.8 | 32.8 |
| 2 2 0 | 31.3 | 98.0 |
| 2 0 6 | 32.0 | 54.2 |
| 3 1 0 | 35.2 | 100.0 |
| 2 0 8 | 38.1 | 48.8 |
| 2 1 9 | 43.0 | 69.8 |
| 4 1 1 | 46.6 | 48.5 |
| 4 2 0 | 50.6 | 44.5 |

***
'''
Back to the entry:



Activity as we age - Mental & Physical

